June 14, 2024
Source: Bigstock
If our time is defined by anything, it is the primacy of ideas over reality. Whether the issue is trangenderism, and its rejection of nature, or the assumption that “human rights” and democracy are universal values to be imposed at gunpoint on other societies, we value abstractions more than truths—feelings more than results. Almost nothing is decided on the merits of whether it will produce a net gain for the greatest number of people, or even if it will work. What matters now for our elites, and for those who seek to boost their social credit score in the hopes of one day joining that august class, is adherence to the orthodoxy of the moment, not real-world outcomes.
If we accept that, for our elites, ideology matters more than human prosperity and well-being, policies that once seemed irrational suddenly make sense. Third World immigration—despite being economically burdensome, undermining social trust, and being of no discernible benefit for the average citizen—can be understood for what it is—i.e., a leftist passion project infused with civilizational self-loathing. That the right has been unable to stop, or even meaningfully disrupt, this project shows not only its relative weakness, but that it is a slave to its own delusions.
Of course, rational people always want to square the circle when confronted with something that seems as patently absurd as replacing your native-born population with foreigners. Such people seek to render the irrational rational by imputing motives that make sense to non-imbeciles.
We’re told that the left’s support for the importation of millions of uneducated people from the failed states of the Global South reflects that movement’s cynical nature. In the American context, that translates into a desire to forever dominate elections by supercharging their client base. At the same time, we’re told that conservatives and free marketeers favoring a slightly more controlled version of the same thing do so because of the supposed “economic benefits” that come from maintaining an industrial reserve army of drywall installers.
To be sure, there is some value in asking the qui bono question, but that answer only takes you so far. It doesn’t explain why and how the left, as the supposed champion of the economically downtrodden, utterly abandoned the working class. It doesn’t explain how the pre-Trump establishment right, despite its supposed preoccupation with law and order, could ignore the injurious social effects of mass immigration from the slums of the developing world for decades.
In his essay “Unprecedented,” Michael Anton notes that “the serial humiliations inflicted on our people by its ruling class” are part of a long list of bizarre and historically anomalous developments that defy explanation. That is, if one is looking for the sort of recognizably sane motivations associated with rulers of the past, such as a desire for wealth or to secure the obedience of subjects.
If you’ve ever challenged a doctrinaire leftist, free-market conservative, or even any establishment Republican before Trump remade that party, you might understand what I’m driving at. They’ll cite study after study in defense of their position—chanting statistics, as if we still lived in a time in which unbiased research on hot-button issues like immigration and climate change can still happen, let alone be published. Across the board, even in the natural sciences, a “replication crisis” casts doubt on the reliability of “the science.” And yet, the left will pretend their studies carry more weight than the lived experience of Americans who have seen their communities and schools transformed for the worse by waves of illegal aliens. This is because reality is irrelevant when you have statistics to back up your arguments.
For the leftist, it is an unspoken but essential truth that in opening our gates to the globe’s favelas we are atoning for the past evils of colonialism. This is because only through the sacrament of self-annihilation can we reach what BAP has called “the eschaton of the global latrine.” To appease those who still have one foot in the real world, and hence are at least somewhat concerned with things like costs and benefits, the acolytes of the left cheerfully remind us that immigration enhances our cultural life through the importation of foreign culinary delights. You know…tacos and such. The occasional robbery or murder is thus a small price to pay for good cuisine.
For the free-market conservative and old-school Republican, it’s supposedly all about economic prosperity, although they might also sprinkle in heartwarming references to America as a “nation of immigrants.” We’re told how foreigners fill jobs no one would want and that a servant class is a good thing. To this way of thinking, South and Central American migrants are the new helots, freeing Americans to pursue awesome jobs in our new gig economy. As if the practical economic benefits weren’t enough, they sweeten the pot further, noting that “based” migrants are our natural allies in the fight against leftist social perversions.
Unfortunately, neither of the above is prepared to reckon with the hard realities that come from the Third Worldification of America. In other words, the true effects—depressed wages, balkanization, and crime—are waved off as imagined, even as the supposed “benefits” are hyped beyond all reason and sense. The obvious transformation of America from a relatively homogenous and cohesive society to an ever more tribalized mess is to be ignored.
This tendency toward pharisaical idiocy carries over to other issues, which, at least theoretically, should be free of ideological considerations. That foreign policy should require a cold assessment of benefits and costs based on a narrow definition of interests would seem axiomatic. And yet, American foreign policy bears no resemblance to a strategy intended to maximize gains for the American people. Indeed, U.S. “interests” are at best defined abstractly, if at all. Hegemony for its own sake is the goal, and in place of logical arguments for or against a policy, we’re treated to ideological slogans. Slava Ukraini!
Recent hysteria from our foreign policy elites over events in Gaza is a case in point. Why any American would care deeply about the fate of Palestinian refugees on the other side of the world at a time when our southern border is in crisis and our society seems poised for violent civil conflict is beyond me. And the reality is that most Americans do not care. The only people who seem fired up about events in Gaza are those in the ruling elite, who, as members of a broader transnational class, are largely detached from the rest of the polity and can afford to live in a world of abstractions. Indeed, they must live in such a fantasy world, lest they be labeled a heretic and ostracized from polite society.
Non-elites can, and often do, run with the elite’s message. Their motivations for this vary. In some cases, it is as simple as a desire to bask in the reflected glory of their betters, or to show that they know what ideological time it is. In signaling their adherence to ruling-class norms, such people are also highlighting their eligibility for promotion to higher status. This is true of both the left and the establishment right. The Overton window, although different for each side, is narrow for both groups as they remain stuck in their respective ideological straitjackets. However, for some non-elites, particularly on the left, there is often a less rational driver behind the embrace of elite messaging and the cause du jour—i.e., filling the spiritual void left from the delegitimization of traditional institutions such as the Church, the nation, and the family. Whether the issue is COVID lockdowns, vaccines, racial justice, abortion, or opposition to Russia, engaging in performative political acts, such as street protests and low-level political violence, satisfies the need of such people to engage in meaningful action while also signaling their aggressive conformity to the ideas and norms of the moment.
Witness the idiotic protests opposing Israeli military action in Gaza. Gender-fluid, blue-haired protesters straight out of central casting seem unconcerned that their Hamas heroes would label them as deviants and gladly throw them off the roof of the nearest building if given the chance to do so. Feminist protesters decry “the patriarchy” while ignoring the reality that Palestinians regard gang rape as an acceptable tactic in war. For such people, it makes total sense that the Republic will rise or fall based on the fortunes of Ukraine and that we should be more involved in the never-ending Israel-Palestine blood feud. They know these things because they were told them by their masters and because it just feels so right.
This is the fountain from which populism flows. Trump has figured out something most other politicians have been incapable of seeing—i.e., that people actually care about results. While Politico writers fret about the fate of “democracy,” ordinary people worry about whether their daughter will be raped in a bathroom stall by a transexual weirdo and whether they will be able to afford groceries in the face of multiyear inflation. In other words, they worry about things that matter, not nebulous liberal principles or strangers on the other side of the planet.
As a J’accuse writer recently pointed out, the success of Trump isn’t fueled by white rage and class resentment, it’s propelled by people who are tied to reality and who want to see policies enacted that further their interests. In some ways, Trump is a throwback to an earlier time when political leaders were expected to pursue policies that contributed to the well-being of the people they led.
# Materials data from another source follow
-- begin --
Entry 1
A geometry-optimized Sb3Au structure. Source: the Materials Project, functional PBE-GGA.

Unit cell a=3.063 b=3.063 c=11.815 alpha=90.00 beta=90.00 gamma=90.00
Element x y z (fractional)
Sb 0.000 0.000 0.231
Sb 0.000 0.000 0.500
Sb 0.000 0.000 0.769
Au 0.000 0.000 0.000

Results
* crystal system: tetragonal


Entry 2
A geometry-optimized Sb3Au structure. Source: the Materials Project, functional PBE-GGA.

Unit cell a=5.169 b=5.169 c=5.169 alpha=109.47 beta=109.47 gamma=109.47
Element x y z (fractional)
Sb 0.500 0.000 0.500
Sb 0.500 0.500 0.000
Sb 0.000 0.500 0.500
Au 0.000 0.000 0.000

Results
* crystal system: cubic


Winner for stability: entry 2


Entry 1
A geometry-optimized Tb5SbAu2 structure. Source: the Materials Project, functional PBE-GGA.

Unit cell a=8.699 b=8.699 c=8.699 alpha=124.11 beta=124.11 gamma=83.01
Element x y z (fractional)
Tb 0.500 0.500 0.000
Tb 0.000 0.000 0.000
Tb 0.515 0.015 0.814
Tb 0.201 0.701 0.186
Tb 0.015 0.201 0.500
Tb 0.701 0.515 0.500
Tb 0.485 0.985 0.186
Tb 0.799 0.299 0.814
Tb 0.985 0.799 0.500
Tb 0.299 0.485 0.500
Sb 0.250 0.250 0.000
Sb 0.750 0.750 0.000
Au 0.136 0.636 0.773
Au 0.864 0.364 0.227
Au 0.636 0.864 0.500
Au 0.364 0.136 0.500

Results
* crystal system: tetragonal


Entry 2
A geometry-optimized Tb5SbAu2 structure. Source: the Materials Project, functional PBE-GGA.

Unit cell a=10.171 b=10.171 c=10.171 alpha=137.21 beta=137.21 gamma=62.11
Element x y z (fractional)
Tb 0.999 0.499 0.830
Tb 0.001 0.501 0.170
Tb 0.831 0.001 0.500
Tb 0.501 0.331 0.500
Tb 0.169 0.999 0.500
Tb 0.669 0.169 0.170
Tb 0.499 0.669 0.500
Tb 0.500 0.500 0.000
Tb 0.000 0.000 0.000
Tb 0.331 0.831 0.830
Sb 0.250 0.250 0.000
Sb 0.750 0.750 0.000
Au 0.127 0.627 0.754
Au 0.627 0.873 0.500
Au 0.373 0.127 0.500
Au 0.873 0.373 0.246

Results
* crystal system: tetragonal


Winner for stability: entry 1


Entry 1
A geometry-optimized Sc2SnAu2 structure. Source: the Materials Project, functional PBE-GGA.

Unit cell a=7.754 b=7.754 c=3.473 alpha=90.00 beta=90.00 gamma=90.00
Element x y z (fractional)
Sc 0.168 0.332 0.000
Sc 0.832 0.668 0.000
Sc 0.668 0.168 0.000
Sc 0.332 0.832 0.000
Sn 0.000 0.000 0.500
Sn 0.500 0.500 0.500
Au 0.371 0.129 0.500
Au 0.629 0.871 0.500
Au 0.871 0.371 0.500
Au 0.129 0.629 0.500

Results
* crystal system: tetragonal


Entry 2
A geometry-optimized Sc2SnAu2 structure. Source: the Materials Project, functional PBE-GGA.

Unit cell a=7.684 b=7.684 c=7.067 alpha=90.00 beta=90.00 gamma=90.00
Element x y z (fractional)
Sc 0.151 0.151 0.000
Sc 0.849 0.849 0.000
Sc 0.651 0.349 0.500
Sc 0.349 0.651 0.500
Sc 0.684 0.316 0.000
Sc 0.316 0.684 0.000
Sc 0.816 0.816 0.500
Sc 0.184 0.184 0.500
Sn 0.500 0.000 0.250
Sn 0.500 0.000 0.750
Sn 0.000 0.500 0.250
Sn 0.000 0.500 0.750
Au 0.370 0.370 0.216
Au 0.630 0.630 0.784
Au 0.630 0.630 0.216
Au 0.870 0.130 0.716
Au 0.870 0.130 0.284
Au 0.370 0.370 0.784
Au 0.130 0.870 0.284
Au 0.130 0.870 0.716

Results
* crystal system: tetragonal


Winner for stability: entry 2


Entry 1
-- stop --
When we think about the great leaders of the past, it is difficult to imagine them embracing with zeal the self-destructive lunacy of the present. Despite his mistakes, Pericles cared deeply about the success of Athens and the welfare of its people. Every policy was aimed at enhancing the power, prestige, and wealth of his city. Augustus cared nothing for ideology, but he did care about the people he led and the legacy he would leave behind. In assessing his own rule, he noted proudly that he had “found Rome a city of brick and left it a city of marble.” Such leaders would not have wasted $320 million on an ill-conceived plan to bring aid to people who despised them and would be ashamed that once great cities had fallen into decline on their watch.
The leaders of the West have forgotten what it means to advocate for their people. Seized by liberal abstractions, they don’t even seem to accept that they have “a people” to advocate for. True democracy is an annoyance for them, because the plebs worry too much about bread, and not enough about girls’ schools in Nigeria.
So disconnected are they from the reality of living in their own societies; so consumed are they with maintaining respectability through dogged adherence to ideas that long ago showed themselves to be bankrupt, that they will burn down their own house with their family inside even as they seek to oppress anyone with the temerity to complain about it. How else can one explain the German leadership’s suicidal quest to transfer the entire male population of Syria to their country? How else can we explain the decision of U.S. presidents to squander trillions of dollars and thousands of American lives in the name of “democracy” and “freedom” in Third World dumps like Afghanistan and Iraq?
Looking beyond the realm of politics to culture and business, we can see the same forces at work, which makes sense given that there is no meaningful separation between “private” and “government” elites—they’re all products of the same universities, consumers of the same entertainment, and driven by the same social-striver tendencies. As in the case of government elites, those in the private sector increasingly care little for practical outcomes. We can see this because only through the warped lens of late-stage liberal ideology do the money-losing decisions of corporations like Disney and Anheuser-Busch make sense. But after all, what is money when the cause of advancing sodomite rights is on the line?! As Mao’s wife once noted, “Better a socialist train that is late, than a capitalist train that is on time.”
When will the fever break? When will ideational concerns give way to common sense? The good news is that periods of ideological insanity—while often destructive and long-lasting—do end, eventually. Whether we’re talking about 19th-century France’s rejection of Jacobinism, or the reemergence of reality-based politics in Russia after generations of Marxist dogmatism, reality has a way of reasserting itself. In politics, populism has often been the corrective to the excesses of out-of-touch elites. That throughout the West populist movements are on the march would seem to support this thesis. But even as the strength of populist movements grows, defiant elites double down on ideological insanity—setting aside soft authoritarian tactics in favor of more aggressive methods. Where this goes is a topic for another time, but we can be confident it’s going nowhere pleasant.